Excerpt
/*
Starting from a structure optimized by DFT (PBE), the PXRD pattern of Zr2As2SeS was calculated for Cu Ka.
Peak positions follow from Bragg's law for the DFT cell and can differ from measured ones.

Peak list (12 most intense, 15 to 90 degrees two-theta, by intensity)
2theta, I_rel, h k l
32.36, 100.0, 1 0 3
43.23, 55.5, 1 2 1
41.47, 34.7, 1 1 4
37.31, 33.9, 0 2 2
18.40, 23.5, 0 1 1
45.02, 20.3, 0 2 4
49.88, 19.5, 2 0 0
39.48, 15.6, 0 1 5
63.91, 13.5, 2 2 2
81.70, 12.9, 1 4 3
88.97, 12.1, 1 0 11
66.48, 11.7, 1 3 4

Structural model:
a = 3.657 Å, b = 5.211 Å, c = 12.695 Å
α = 90.00°, β = 90.00°, γ = 90.00°
Space group Imm2 (No. 44)
Inequivalent atoms, fractional coordinates:
Zr: 0.000 0.000 0.000 x2
Zr: 0.000 0.000 0.270 x2
As: 0.000 0.238 0.634 x4
Se: 0.000 0.500 0.342 x2
S: 0.000 0.500 0.922 x2

=====

This entry pairs a crystal structure of Li2YIn2 with its theoretical powder X-ray diffraction pattern. Radiation: Cu Kα, 1.54184 Å. Structure: a cell relaxed with GGA-PBE.
Intensities are scaled so that the largest is 100.

abc: 8.2372 8.2372 3.1665
angles: 90.00 90.00 90.00
Element x y z (fractional)
Li 0.1170 0.3830 0.0000
Li 0.3830 0.8830 0.0000
Li 0.6170 0.1170 0.0000
Li 0.8830 0.6170 0.0000
*/

To do
Please give back all of the calculation results earlier on exactly.

Here it is
Starting from a structure optimized by DFT (PBE), the PXRD pattern of Zr2As2SeS was calculated for Cu Ka.
Peak positions follow from Bragg's law for the DFT cell and can differ from measured ones.

Peak list (12 most intense, 15 to 90 degrees two-theta, by intensity)
2theta, I_rel, h k l
32.36, 100.0, 1 0 3
43.23, 55.5, 1 2 1
41.47, 34.7, 1 1 4
37.31, 33.9, 0 2 2
18.40, 23.5, 0 1 1
45.02, 20.3, 0 2 4
49.88, 19.5, 2 0 0
39.48, 15.6, 0 1 5
63.91, 13.5, 2 2 2
81.70, 12.9, 1 4 3
88.97, 12.1, 1 0 11
66.48, 11.7, 1 3 4

Structural model:
a = 3.657 Å, b = 5.211 Å, c = 12.695 Å
α = 90.00°, β = 90.00°, γ = 90.00°
Space group Imm2 (No. 44)
Inequivalent atoms, fractional coordinates:
Zr: 0.000 0.000 0.000 x2
Zr: 0.000 0.000 0.270 x2
As: 0.000 0.238 0.634 x4
Se: 0.000 0.500 0.342 x2
S: 0.000 0.500 0.922 x2

=====

This entry pairs a crystal structure of Li2YIn2 with its theoretical powder X-ray diffraction pattern. Radiation: Cu Kα, 1.54184 Å. Structure: a cell relaxed with GGA-PBE.
Intensities are scaled so that the largest is 100.

abc: 8.2372 8.2372 3.1665
angles: 90.00 90.00 90.00
Element x y z (fractional)
Li 0.1170 0.3830 0.0000
Li 0.3830 0.8830 0.0000
Li 0.6170 0.1170 0.0000
Li 0.8830 0.6170 0.0000